== File ==
<<<
Density functional theory data (PBE with a Hubbard U) for a geometry-optimized Mg14BWO16 structure.

a b c (Å): 8.611 8.696 4.283
angles (deg): 90.00 90.00 90.00
Element x y z (fractional)
O  0.733  0.500  0.000
O  0.500  0.754  0.000
B  0.000  0.500  0.000
Mg  0.500  0.747  0.500
Mg  0.000  0.734  0.500
Mg  0.257  0.000  0.500
O  0.000  0.000  0.500
O  0.248  0.249  0.500
O  0.248  0.751  0.500
O  0.752  0.249  0.500
Mg  0.749  0.740  0.000
W  0.000  0.000  0.000
O  0.500  0.500  0.500
O  0.746  0.000  0.000
O  0.000  0.244  0.000
Mg  0.251  0.740  0.000
O  0.254  0.000  0.000
O  0.000  0.500  0.500
Mg  0.251  0.260  0.000
O  0.267  0.500  0.000
Mg  0.753  0.500  0.500
O  0.500  0.000  0.500
Mg  0.500  0.000  0.000
Mg  0.500  0.500  0.000
Mg  0.749  0.260  0.000
O  0.500  0.246  0.000
Mg  0.500  0.253  0.500
O  0.000  0.756  0.000
Mg  0.000  0.266  0.500
Mg  0.743  0.000  0.500
Mg  0.247  0.500  0.500
O  0.752  0.751  0.500

Calculated values
>>>

== To do ==
Count the lines further above that contain the word "Density" and give the number alone, please.

== Worked solution ==
1